Job:
Transcribe the part of the rows underneath that starts with the line with "0.3634 0.0000" and stops after the one with "[3]", please.

Material:
/*
The following is a DFT calculation (PBE) of a geometry-optimized Mg2Ga2Os structure.

Lattice parameters (Å, degrees): 6.7111 6.7111 3.7755 90.00 90.00 90.00
With the nearest neighbours (Å) after each atom.
Element x y z (fractional)
Mg: 0.6724 0.8276 0.5000  6 Ga 2.62-2.81
Mg: 0.3276 0.1724 0.5000  6 Ga 2.62-2.81
Mg: 0.8276 0.3276 0.5000  6 Ga 2.62-2.81
Mg: 0.1724 0.6724 0.5000  6 Ga 2.62-2.81
Ga: 0.3634 0.8634 0.0000  1 Ga 2.59, 2 Os 2.61, 6 Mg 2.62-2.81
Ga: 0.6366 0.1366 0.0000  1 Ga 2.59, 2 Os 2.61, 6 Mg 2.62-2.81
Ga: 0.1366 0.3634 0.0000  1 Ga 2.59, 2 Os 2.61, 6 Mg 2.62-2.81
Ga: 0.8634 0.6366 0.0000  1 Ga 2.59, 2 Os 2.61, 6 Mg 2.62-2.81
Os: 0.0000 0.0000 0.0000  4 Ga 2.61
Os: 0.5000 0.5000 0.0000  4 Ga 2.61

Values from the calculation:
VASP energy   -4.041 eV/atom
Formation energy from the elements   53 meV per atom
Symmetry   P4/mbm, No. 127

----------

First-principles (PBE+U) data for crystalline NaNd3Ti3MnO12 at its relaxed geometry, as listed in Alexandria via LeMat-Bulk.

Cell and atoms, written as CIF:
```
data_NaNd3Ti3MnO12
_chemical_formula_sum 'Na1 Nd3 Ti3 Mn1 O12'
_cell_length_a 5.494
_cell_length_b 5.698
_cell_length_c 7.867
_cell_angle_alpha 89.72
_cell_angle_beta 89.81
_cell_angle_gamma 89.71
_symmetry_space_group_name_H-M 'P 1'
_symmetry_Int_Tables_number 1
loop_
_symmetry_equiv_pos_as_xyz
'x,y,z'
loop_
_atom_site_label
_atom_site_type_symbol
_atom_site_fract_x
_atom_site_fract_y
_atom_site_fract_z
_atom_site_occupancy
Na1 Na 0.000 0.000 0.000 1
Nd1 Nd 0.011 0.087 0.518 1
Nd2 Nd 0.488 0.581 0.515 1
Nd3 Nd 0.516 0.464 0.002 1
Ti1 Ti 0.014 0.545 0.262 1
Ti2 Ti 0.528 0.021 0.247 1
Ti3 Ti 0.999 0.534 0.773 1
Mn1 Mn 0.500 0.022 0.766 1
O1 O 0.083 0.554 0.012 1
O2 O 0.190 0.803 0.698 1
O3 O 0.202 0.808 0.314 1
O4 O 0.278 0.324 0.306 1
O5 O 0.281 0.334 0.711 1
O6 O 0.412 0.057 0.027 1
O7 O 0.588 0.000 0.493 1
O8 O 0.693 0.721 0.216 1
O9 O 0.697 0.703 0.792 1
O10 O 0.779 0.237 0.215 1
O11 O 0.807 0.249 0.796 1
O12 O 0.910 0.503 0.498 1
```

Output
Calculated volume (Å³ per cell): 246.2
E (eV/atom): -8.30

----------

[1]
8
Lattice="6.636 0.000 0.000 0.000 6.636 0.000 3.318 3.318 5.806" Properties=species:S:1:pos:R:3 comment="GGA-PBE HfVI2, relaxed" mass_density_g_cm3=6.3 spacegroup="No. 122" formation_energy_uncorrected_ev_per_atom=0.79 pbc="T T T"
Hf 6.636 3.318 2.903
Hf 0.000 0.000 0.000
I 4.977 5.074 4.355
I 1.756 4.977 1.452
I 4.880 1.659 1.452
I 8.295 8.198 4.355
V 3.318 3.318 0.000
V 3.318 6.636 2.903



[2]
4
Lattice="-2.134 -4.256 1.490 -4.492 0.088 2.168 -3.977 -1.780 -2.429" Properties=species:S:1:pos:R:3 comment="GGA-PBE HfVI2, relaxed" mass_density_g_cm3=9.1 spacegroup="No. 225" formation_energy_uncorrected_ev_per_atom=0.43 pbc="T T T"
Hf -5.302 -2.974 0.614
I -2.651 -1.487 0.307
I -7.953 -4.461 0.921
V 0.000 0.000 0.000



[3]
4
Lattice="0.000 3.270 3.270 3.270 0.000 3.270 3.270 3.270 0.000" Properties=species:S:1:pos:R:3 comment="GGA-PBE HfV2I, relaxed" mass_density_g_cm3=9.7 spacegroup="No. 225" formation_energy_uncorrected_ev_per_atom=0.68 pbc="T T T"
Hf 3.270 3.270 3.270
V 4.906 4.906 4.906
V 1.635 1.635 1.635
I 0.000 0.000 0.000



[4]
6
Lattice="3.272 0.458 -1.000 0.594 4.707 -1.896 -4.317 -5.351 13.151" Properties=species:S:1:pos:R:3 comment="GGA-PBE HfVI, relaxed" mass_density_g_cm3=7.8 spacegroup="No. 2" formation_energy_uncorrected_ev_per_atom=0.11 pbc="T T T"
V -0.391 1.406 5.274
V -0.060 -1.593 4.980
I -2.230 -2.157 9.561
I 1.779 1.971 0.694
Hf -1.394 -0.456 7.100
Hf 0.943 0.269 3.155



[5]
5
Lattice="5.155 0.000 0.000 0.000 5.155 0.000 0.000 0.000 5.155" Properties=species:S:1:pos:R:3 comment="GGA-PBE Hf3VI, relaxed" mass_density_g_cm3=8.6 spacegroup="No. 221" formation_energy_uncorrected_ev_per_atom=1.47 pbc="T T T"
I 0.000 0.000 0.000
V 2.578 2.578 2.578
Hf 0.000 0.000 2.578
Hf 2.578 0.000 0.000
Hf 0.000 2.578 0.000



[6]
5
*/

Written answer:
Ga: 0.1366 0.3634 0.0000  1 Ga 2.59, 2 Os 2.61, 6 Mg 2.62-2.81
Ga: 0.8634 0.6366 0.0000  1 Ga 2.59, 2 Os 2.61, 6 Mg 2.62-2.81
Os: 0.0000 0.0000 0.0000  4 Ga 2.61
Os: 0.5000 0.5000 0.0000  4 Ga 2.61

Values from the calculation:
VASP energy   -4.041 eV/atom
Formation energy from the elements   53 meV per atom
Symmetry   P4/mbm, No. 127

----------

First-principles (PBE+U) data for crystalline NaNd3Ti3MnO12 at its relaxed geometry, as listed in Alexandria via LeMat-Bulk.

Cell and atoms, written as CIF:
```
data_NaNd3Ti3MnO12
_chemical_formula_sum 'Na1 Nd3 Ti3 Mn1 O12'
_cell_length_a 5.494
_cell_length_b 5.698
_cell_length_c 7.867
_cell_angle_alpha 89.72
_cell_angle_beta 89.81
_cell_angle_gamma 89.71
_symmetry_space_group_name_H-M 'P 1'
_symmetry_Int_Tables_number 1
loop_
_symmetry_equiv_pos_as_xyz
'x,y,z'
loop_
_atom_site_label
_atom_site_type_symbol
_atom_site_fract_x
_atom_site_fract_y
_atom_site_fract_z
_atom_site_occupancy
Na1 Na 0.000 0.000 0.000 1
Nd1 Nd 0.011 0.087 0.518 1
Nd2 Nd 0.488 0.581 0.515 1
Nd3 Nd 0.516 0.464 0.002 1
Ti1 Ti 0.014 0.545 0.262 1
Ti2 Ti 0.528 0.021 0.247 1
Ti3 Ti 0.999 0.534 0.773 1
Mn1 Mn 0.500 0.022 0.766 1
O1 O 0.083 0.554 0.012 1
O2 O 0.190 0.803 0.698 1
O3 O 0.202 0.808 0.314 1
O4 O 0.278 0.324 0.306 1
O5 O 0.281 0.334 0.711 1
O6 O 0.412 0.057 0.027 1
O7 O 0.588 0.000 0.493 1
O8 O 0.693 0.721 0.216 1
O9 O 0.697 0.703 0.792 1
O10 O 0.779 0.237 0.215 1
O11 O 0.807 0.249 0.796 1
O12 O 0.910 0.503 0.498 1
```

Output
Calculated volume (Å³ per cell): 246.2
E (eV/atom): -8.30

----------

[1]
8
Lattice="6.636 0.000 0.000 0.000 6.636 0.000 3.318 3.318 5.806" Properties=species:S:1:pos:R:3 comment="GGA-PBE HfVI2, relaxed" mass_density_g_cm3=6.3 spacegroup="No. 122" formation_energy_uncorrected_ev_per_atom=0.79 pbc="T T T"
Hf 6.636 3.318 2.903
Hf 0.000 0.000 0.000
I 4.977 5.074 4.355
I 1.756 4.977 1.452
I 4.880 1.659 1.452
I 8.295 8.198 4.355
V 3.318 3.318 0.000
V 3.318 6.636 2.903



[2]
4
Lattice="-2.134 -4.256 1.490 -4.492 0.088 2.168 -3.977 -1.780 -2.429" Properties=species:S:1:pos:R:3 comment="GGA-PBE HfVI2, relaxed" mass_density_g_cm3=9.1 spacegroup="No. 225" formation_energy_uncorrected_ev_per_atom=0.43 pbc="T T T"
Hf -5.302 -2.974 0.614
I -2.651 -1.487 0.307
I -7.953 -4.461 0.921
V 0.000 0.000 0.000



[3]